What to do >
Echo everything below with every line break kept.

Given >
- - -
1.
A structure of composition C35H41CrN4O2, computed with ωB97M-V with the def2-TZVPD basis set.

Results
- highest occupied orbital energy (spin up / spin down) (eV) = -3.843 / -4.358
- E_LUMO (spin up / spin down) (eV) = 2.37 / 1.19
- total energy (eV) = -75437.382
- charge = -1
- max |F| (eV Å⁻¹) = 0.392
- multiplicity = 5

CARTESIAN COORDINATES (ANGSTROEM)
Cr 1.76154 0.15991 -0.14223
O 5.10773 2.01215 -1.10694
C 3.99169 1.53992 -0.93230
N 3.65039 0.25427 -0.64788
C 4.48856 -0.66744 -0.01508
C 5.87330 -0.58752 0.11368
C 6.55969 -1.57949 0.81091
C 5.89205 -2.65291 1.37529
C 4.50584 -2.74818 1.25118
C 3.80928 -1.76564 0.57037
N 2.41537 -1.75988 0.31844
C 1.86612 -2.81490 -0.29638
O 2.11200 -4.01270 -0.17299
C 0.91637 -2.39440 -1.41084
C 0.40439 -3.33413 -2.29100
C -0.19839 -2.88769 -3.45517
C -0.28499 -1.52659 -3.69792
C 0.20708 -0.64949 -2.74418
N 0.79363 -1.08290 -1.63425
C 2.71585 2.38926 -0.96275
C 2.81929 3.74645 -0.35237
C 2.70367 3.72220 0.97976
C 2.63893 2.51196 1.83965
C 2.32230 1.22341 1.57594
N 1.56714 1.87284 -1.09597
H 6.39368 0.24630 -0.33196
H 7.63727 -1.50320 0.90733
H 6.44030 -3.41972 1.91027
H 3.95871 -3.58215 1.66778
H 0.54131 -4.38114 -2.06100
H -0.57902 -3.59734 -4.18036
H -0.73131 -1.14368 -4.60591
H 0.16380 0.42920 -2.85131
H 2.94191 4.67122 -0.90411
H 2.74378 4.66564 1.52023
H 2.97116 2.74553 2.85475
H 2.52016 0.59821 2.45360
C -0.88718 0.69058 0.98069
C -1.76740 1.15432 -0.04334
C -2.52349 -0.02387 -0.54271
C -2.12990 -1.06745 0.23804
C -1.16827 -0.63390 1.24793
C -0.91629 -1.43820 2.50096
C -0.48743 -2.87523 2.19431
C 0.12686 -0.78539 3.40249
C -2.26019 -1.48376 3.25434
C -3.59247 -0.17612 -1.62695
C -3.22264 0.46013 -2.98107
C -3.81436 -1.67077 -1.90283
C -4.94294 0.38046 -1.14557
C -2.07145 2.65157 -0.06642
C -3.15777 2.87692 1.01053
C -2.57875 3.22057 -1.39218
C -0.84667 3.49390 0.31969
H -0.28355 1.35717 1.57248
H -2.45098 -2.09463 0.15235
H 0.44970 -2.90125 1.64572
H -1.24715 -3.41269 1.62055
H -0.34123 -3.41212 3.13541
H 1.12088 -0.86395 2.96726
H 0.13830 -1.28568 4.37434
H -0.08795 0.27219 3.56658
H -2.16143 -2.12909 4.13119
H -3.06192 -1.87950 2.62743
H -2.55044 -0.48556 3.59130
H -2.17212 0.30934 -3.21600
H -3.42843 1.52221 -3.02365
H -3.81097 -0.01243 -3.77249
H -2.90143 -2.14771 -2.26888
H -4.59191 -1.77886 -2.66285
H -4.15969 -2.20736 -1.01697
H -4.88623 1.43812 -0.89692
H -5.27408 -0.15591 -0.25316
H -5.70151 0.26158 -1.92502
H -4.05280 2.28326 0.81675
H -3.44009 3.93350 1.02342
H -2.77839 2.60959 1.99796
H -3.57795 2.86911 -1.64135
H -1.89687 2.98919 -2.21092
H -2.63097 4.30800 -1.30450
H -0.45800 3.25385 1.30907
H -1.14136 4.54677 0.33302
H -0.02169 3.34176 -0.37630

In the Mulliken picture, each atom carries the following charge in e: -0.946 -0.782 0.704 0.550 0.499 -0.969 -0.536 -0.655 -0.605 -0.378 1.108 -0.852 -0.785 0.927 -0.802 -0.477 -0.722 -0.679 1.087 0.356 -0.803 -0.605 -0.160 -0.371 -0.205 0.515 0.364 0.365 0.401 0.573 0.409 0.457 0.612 0.382 0.375 0.329 0.386 -1.580 0.645 0.218 -0.285 0.437 2.073 -1.666 -1.557 -1.824 2.326 -1.367 -2.149 -1.824 2.310 -1.781 -2.135 -2.069 0.534 0.369 0.130 0.253 0.491 0.004 0.493 0.261 0.448 0.315 0.382 -0.095 0.242 0.499 0.332 0.536 0.312 0.314 0.314 0.482 0.287 0.457 0.292 0.363 0.278 0.591 0.417 0.571 0.291

2.
A structure of composition C35H42Br15F5N4O5S3 in a non-equilibrium geometry, computed with ωB97M-V with the def2-TZVPD basis set.

Results
- highest occupied orbital energy (eV) = -8.289
- E_LUMO (eV) = -0.28
- total energy (eV) = -1149898.213
- max |F| (eV Å⁻¹) = 3.549

CARTESIAN COORDINATES (ANGSTROEM)
C 2.43892 -3.73526 1.77776
C 3.48912 -3.91175 2.93256
C 4.23152 -2.55546 3.33030
C 3.19664 -1.69645 4.14878
N 3.32220 -0.22242 3.99444
C 2.36614 0.35636 3.10048
C 2.82683 0.65059 1.72073
C 4.25440 0.33219 1.17799
C 4.19503 -0.80912 0.05728
C 5.50995 -1.68378 -0.04103
C 6.77571 -0.75634 0.03082
O 7.07229 -0.12732 -0.94230
O 7.48900 -0.73413 1.22007
C 1.89635 1.27222 0.75089
N 2.36493 1.57452 -0.58585
C 1.83886 0.86631 -1.44089
- - -

Result >
1.
A structure of composition C35H41CrN4O2, computed with ωB97M-V with the def2-TZVPD basis set.

Results
- highest occupied orbital energy (spin up / spin down) (eV) = -3.843 / -4.358
- E_LUMO (spin up / spin down) (eV) = 2.37 / 1.19
- total energy (eV) = -75437.382
- charge = -1
- max |F| (eV Å⁻¹) = 0.392
- multiplicity = 5

CARTESIAN COORDINATES (ANGSTROEM)
Cr 1.76154 0.15991 -0.14223
O 5.10773 2.01215 -1.10694
C 3.99169 1.53992 -0.93230
N 3.65039 0.25427 -0.64788
C 4.48856 -0.66744 -0.01508
C 5.87330 -0.58752 0.11368
C 6.55969 -1.57949 0.81091
C 5.89205 -2.65291 1.37529
C 4.50584 -2.74818 1.25118
C 3.80928 -1.76564 0.57037
N 2.41537 -1.75988 0.31844
C 1.86612 -2.81490 -0.29638
O 2.11200 -4.01270 -0.17299
C 0.91637 -2.39440 -1.41084
C 0.40439 -3.33413 -2.29100
C -0.19839 -2.88769 -3.45517
C -0.28499 -1.52659 -3.69792
C 0.20708 -0.64949 -2.74418
N 0.79363 -1.08290 -1.63425
C 2.71585 2.38926 -0.96275
C 2.81929 3.74645 -0.35237
C 2.70367 3.72220 0.97976
C 2.63893 2.51196 1.83965
C 2.32230 1.22341 1.57594
N 1.56714 1.87284 -1.09597
H 6.39368 0.24630 -0.33196
H 7.63727 -1.50320 0.90733
H 6.44030 -3.41972 1.91027
H 3.95871 -3.58215 1.66778
H 0.54131 -4.38114 -2.06100
H -0.57902 -3.59734 -4.18036
H -0.73131 -1.14368 -4.60591
H 0.16380 0.42920 -2.85131
H 2.94191 4.67122 -0.90411
H 2.74378 4.66564 1.52023
H 2.97116 2.74553 2.85475
H 2.52016 0.59821 2.45360
C -0.88718 0.69058 0.98069
C -1.76740 1.15432 -0.04334
C -2.52349 -0.02387 -0.54271
C -2.12990 -1.06745 0.23804
C -1.16827 -0.63390 1.24793
C -0.91629 -1.43820 2.50096
C -0.48743 -2.87523 2.19431
C 0.12686 -0.78539 3.40249
C -2.26019 -1.48376 3.25434
C -3.59247 -0.17612 -1.62695
C -3.22264 0.46013 -2.98107
C -3.81436 -1.67077 -1.90283
C -4.94294 0.38046 -1.14557
C -2.07145 2.65157 -0.06642
C -3.15777 2.87692 1.01053
C -2.57875 3.22057 -1.39218
C -0.84667 3.49390 0.31969
H -0.28355 1.35717 1.57248
H -2.45098 -2.09463 0.15235
H 0.44970 -2.90125 1.64572
H -1.24715 -3.41269 1.62055
H -0.34123 -3.41212 3.13541
H 1.12088 -0.86395 2.96726
H 0.13830 -1.28568 4.37434
H -0.08795 0.27219 3.56658
H -2.16143 -2.12909 4.13119
H -3.06192 -1.87950 2.62743
H -2.55044 -0.48556 3.59130
H -2.17212 0.30934 -3.21600
H -3.42843 1.52221 -3.02365
H -3.81097 -0.01243 -3.77249
H -2.90143 -2.14771 -2.26888
H -4.59191 -1.77886 -2.66285
H -4.15969 -2.20736 -1.01697
H -4.88623 1.43812 -0.89692
H -5.27408 -0.15591 -0.25316
H -5.70151 0.26158 -1.92502
H -4.05280 2.28326 0.81675
H -3.44009 3.93350 1.02342
H -2.77839 2.60959 1.99796
H -3.57795 2.86911 -1.64135
H -1.89687 2.98919 -2.21092
H -2.63097 4.30800 -1.30450
H -0.45800 3.25385 1.30907
H -1.14136 4.54677 0.33302
H -0.02169 3.34176 -0.37630

In the Mulliken picture, each atom carries the following charge in e: -0.946 -0.782 0.704 0.550 0.499 -0.969 -0.536 -0.655 -0.605 -0.378 1.108 -0.852 -0.785 0.927 -0.802 -0.477 -0.722 -0.679 1.087 0.356 -0.803 -0.605 -0.160 -0.371 -0.205 0.515 0.364 0.365 0.401 0.573 0.409 0.457 0.612 0.382 0.375 0.329 0.386 -1.580 0.645 0.218 -0.285 0.437 2.073 -1.666 -1.557 -1.824 2.326 -1.367 -2.149 -1.824 2.310 -1.781 -2.135 -2.069 0.534 0.369 0.130 0.253 0.491 0.004 0.493 0.261 0.448 0.315 0.382 -0.095 0.242 0.499 0.332 0.536 0.312 0.314 0.314 0.482 0.287 0.457 0.292 0.363 0.278 0.591 0.417 0.571 0.291

2.
A structure of composition C35H42Br15F5N4O5S3 in a non-equilibrium geometry, computed with ωB97M-V with the def2-TZVPD basis set.

Results
- highest occupied orbital energy (eV) = -8.289
- E_LUMO (eV) = -0.28
- total energy (eV) = -1149898.213
- max |F| (eV Å⁻¹) = 3.549

CARTESIAN COORDINATES (ANGSTROEM)
C 2.43892 -3.73526 1.77776
C 3.48912 -3.91175 2.93256
C 4.23152 -2.55546 3.33030
C 3.19664 -1.69645 4.14878
N 3.32220 -0.22242 3.99444
C 2.36614 0.35636 3.10048
C 2.82683 0.65059 1.72073
C 4.25440 0.33219 1.17799
C 4.19503 -0.80912 0.05728
C 5.50995 -1.68378 -0.04103
C 6.77571 -0.75634 0.03082
O 7.07229 -0.12732 -0.94230
O 7.48900 -0.73413 1.22007
C 1.89635 1.27222 0.75089
N 2.36493 1.57452 -0.58585
C 1.83886 0.86631 -1.44089